Source
Record 1
PBE-GGA Y6Ho2ErTm3, optimized geometry; symmetry = C2/m (12); calculated volume = 375 Å³/f.u.; DFT formation energy = 27 meV per atom
1.0
3.0651 -5.3018 0.0000
3.0651 5.3018 0.0000
-2.0373 0.0000 11.5500
Y Ho Er Tm
6 2 1 3
direct
0.0836 0.4169 0.7508 Y
0.2496 0.2496 0.2490 Y
0.4169 0.0836 0.7508 Y
0.5831 0.9164 0.2492 Y
0.7504 0.7504 0.7510 Y
0.9164 0.5831 0.2492 Y
0.3334 0.6666 0.5000 Ho
0.6666 0.3334 0.5000 Ho
0.0000 0.0000 0.5000 Er
0.1667 0.8333 0.0000 Tm
0.5000 0.5000 0.0000 Tm
0.8333 0.1667 0.0000 Tm

***

Record 2
PBE-GGA Y2HoErTm2, optimized geometry; symmetry = Pnnm (58); calculated volume = 192 Å³/f.u.; DFT formation energy = 275 meV per atom
1.0
6.4542 0.0000 0.0000
0.0000 17.6569 0.0000
0.0000 0.0000 3.3717
Y Ho Er Tm
4 2 2 4
direct
0.2279 0.1861 0.0000 Y
0.2721 0.6861 0.5000 Y
0.7279 0.3139 0.5000 Y
0.7721 0.8139 0.0000 Y
0.0000 0.5000 0.0000 Ho
0.5000 0.0000 0.5000 Ho
0.0000 0.0000 0.0000 Er
0.5000 0.5000 0.5000 Er
0.2263 0.3542 0.5000 Tm
0.2737 0.8542 0.0000 Tm
0.7263 0.1458 0.0000 Tm
0.7737 0.6458 0.5000 Tm

***

Record 3
PBE-GGA Y3HoErTm, optimized geometry; symmetry = Cmcm (63); calculated volume = 188 Å³/f.u.; DFT formation energy = 26 meV per atom
1.0
2.5023 -7.5148 0.0000
2.5023 7.5148 0.0000
0.0000 0.0000 9.9984
Y Ho Er Tm
6 2 2 2
direct
0.1658 0.8342 0.9997 Y
0.1658 0.8342 0.5003 Y
0.3340 0.6660 0.7500 Y
0.6660 0.3340 0.2500 Y
0.8342 0.1658 0.0003 Y
0.8342 0.1658 0.4997 Y
0.5000 0.5000 0.0000 Ho
0.5000 0.5000 0.5000 Ho
0.3347 0.6653 0.2500 Er
0.6653 0.3347 0.7500 Er
0.0007 0.9993 0.7500 Tm
0.9993 0.0007 0.2500 Tm

***

> The lowest DFT formation energy belongs to which entry?

Y3HoErTm

----------

An optimized crystal structure of Cu7Pd2Pt2. Source: the Alexandria database, functional PBE-GGA.

a = 6.7606 Å, b = 9.4665 Å, c = 5.2260 Å
α = 90.00°, β = 105.60°, γ = 90.00°
Closest atoms and distances in Å follow each position.
Space group C2/m (No. 12)
Asymmetric unit:
Cu 0.0000 0.0000 0.0000  6 Cu 2.47-2.56, 2 Pt 2.56
Cu 0.1664 0.5000 0.6582  4 Cu 2.41-2.50, 2 Pt 2.58-2.65
Cu 0.1757 0.2331 0.1777  4 Cu 2.36-2.59, 1 Pd 2.47, 1 Pt 2.53
Pd 0.0000 0.1409 0.5000  4 Cu 2.47-2.66, 1 Pd 2.67, 2 Pt 2.74
Pt 0.1769 0.5000 0.1682  6 Cu 2.53-2.71, 1 Pt 2.56, 2 Pd 2.74

energy above the lowest structure with this stoichiometry: 128 meV/atom
final energy: -98.98 eV/cell
mass density: 10803 kg/m3
DOS(E_F): 0.43 states/eV per atom
formation energy: 1.65 eV/f.u.

----------

# 1
VASP calculation (SCAN) on Ca2SbPt at its PBEsol-relaxed geometry.

Crystal system ... orthorhombic
Spin magnetization ... 0.00 μB per formula unit
E ... -32.59 eV/atom
ΔE_f (raw) ... -3.6 eV per formula unit
ρ ... 6.717 g cm⁻³

CIF file:
```
data_Ca2SbPt
_space_group_name_H-M_alt 'I m m 2'
_space_group_IT_number 44
_cell_length_a 3.6071
_cell_length_b 4.7880
_cell_length_c 11.3653
_cell_angle_alpha 90.00
_cell_angle_beta 90.00
_cell_angle_gamma 90.00
loop_
_space_group_symop_operation_xyz
'x,y,z'
'-x,-y,z'
'-x,y,z'
'x,-y,z'
'x+1/2,y+1/2,z+1/2'
'-x+1/2,-y+1/2,z+1/2'
'-x+1/2,y+1/2,z+1/2'
'x+1/2,-y+1/2,z+1/2'
loop_
_atom_site_label
_atom_site_fract_x
_atom_site_fract_y
_atom_site_fract_z
_atom_site_occupancy
Ca1 0.0000 0.0000 0.0000 1
Ca2 0.0000 0.5000 0.2042 1
Sb1 0.0000 0.0000 0.4060 1
Pt1 0.0000 0.5000 0.7229 1
```

=====

# 2
VASP calculation (SCAN) on Zr2BeSi at its PBEsol-relaxed geometry.

Crystal system ... orthorhombic
Spin magnetization ... 0.00 μB per formula unit
E ... -19.61 eV/atom
ΔE_f (raw) ... -2.7 eV per formula unit
ρ ... 5.474 g cm⁻³
Offset from the most stable computed form ... 0.0 meV/atom

CIF file:
```
data_Zr2BeSi
_space_group_name_H-M_alt 'A m m 2'
_space_group_IT_number 38
_cell_length_a 3.6171
_cell_length_b 3.7495
_cell_length_c 9.8218
_cell_angle_alpha 90.00
_cell_angle_beta 90.00
_cell_angle_gamma 90.00
loop_
_space_group_symop_operation_xyz
'x,y,z'
'-x,-y,z'
'-x,y,z'
'x,-y,z'
'x,y+1/2,z+1/2'
'-x,-y+1/2,z+1/2'
'-x,y+1/2,z+1/2'
'x,-y+1/2,z+1/2'
loop_
_atom_site_label
_atom_site_fract_x
_atom_site_fract_y

To do
Now filter the lines earlier on: keep the lines with the word "symmetry".

Outcome
PBE-GGA Y6Ho2ErTm3, optimized geometry; symmetry = C2/m (12); calculated volume = 375 Å³/f.u.; DFT formation energy = 27 meV per atom
PBE-GGA Y2HoErTm2, optimized geometry; symmetry = Pnnm (58); calculated volume = 192 Å³/f.u.; DFT formation energy = 275 meV per atom
PBE-GGA Y3HoErTm, optimized geometry; symmetry = Cmcm (63); calculated volume = 188 Å³/f.u.; DFT formation energy = 26 meV per atom